Restate the lines below from the line with "0.369 0.060" to the end character by character, please.

Structure and simulated X-ray powder pattern of RbLi2B3Sb2O9 (the PBE geometry in Alexandria; Cu Kα).
Intensities are scaled so that the largest is 100.

Structural model:
```
data_RbLi2B3Sb2O9
_symmetry_space_group_name_H-M 'P 1'
_symmetry_Int_Tables_number 1
_cell_length_a 6.463
_cell_length_b 5.631
_cell_length_c 13.078
_cell_angle_alpha 90.00
_cell_angle_beta 92.61
_cell_angle_gamma 90.00
loop_
_symmetry_equiv_pos_as_xyz
'x,y,z'
loop_
_atom_site_label
_atom_site_type_symbol
_atom_site_fract_x
_atom_site_fract_y
_atom_site_fract_z
Rb1 Rb 0.000 0.106 0.250
Rb2 Rb 0.000 0.894 0.750
Li1 Li 0.480 0.111 0.142
Li2 Li 0.480 0.889 0.642
Li3 Li 0.520 0.111 0.358
Li4 Li 0.520 0.889 0.858
B1 B 0.167 0.159 0.977
B2 B 0.167 0.841 0.477
B3 B 0.500 0.402 0.750
B4 B 0.500 0.598 0.250
B5 B 0.833 0.159 0.523
B6 B 0.833 0.841 0.023
Sb1 Sb 0.269 0.371 0.538
Sb2 Sb 0.269 0.629 0.038
Sb3 Sb 0.731 0.371 0.962
Sb4 Sb 0.731 0.629 0.462
O1 O 0.013 0.275 0.915
O2 O 0.013 0.725 0.415
O3 O 0.223 0.252 0.072
O4 O 0.223 0.748 0.572
O5 O 0.266 0.035 0.440
O6 O 0.266 0.965 0.940
O7 O 0.396 0.253 0.675
O8 O 0.396 0.747 0.175
O9 O 0.500 0.361 0.250
O10 O 0.500 0.639 0.750
O11 O 0.604 0.253 0.825
O12 O 0.604 0.747 0.325
O13 O 0.734 0.035 0.060
O14 O 0.734 0.965 0.560
O15 O 0.777 0.252 0.428
O16 O 0.777 0.748 0.928
O17 O 0.987 0.275 0.585
O18 O 0.987 0.725 0.085
```

Principal peaks in the range 2θ = 15–90°, by angle:
2θ 20.83, intensity 80, hkl 0 1 2; 2θ 21.83, intensity 95, hkl 1 1 -1; 2θ 24.67, intensity 58, hkl 1 1 -2; 2θ 25.86, intensity 50, hkl 0 1 3; 2θ 30.32, intensity 100, hkl 2 0 -2; 2θ 31.47, intensity 51, hkl 2 0 2; 2θ 35.17, intensity 62, hkl 1 1 4; 2θ 35.58, intensity 73, hkl 1 2 1


Structure and simulated X-ray powder pattern of Li2B2RhO6 (the PBE geometry in Alexandria; Cu Kα).
Intensities are scaled so that the largest is 100.

Structural model:
```
data_Li2B2RhO6
_symmetry_space_group_name_H-M 'P 1'
_symmetry_Int_Tables_number 1
_cell_length_a 4.839
_cell_length_b 4.839
_cell_length_c 5.859
_cell_angle_alpha 90.00
_cell_angle_beta 90.00
_cell_angle_gamma 120.00
loop_
_symmetry_equiv_pos_as_xyz
'x,y,z'
loop_
_atom_site_label
_atom_site_type_symbol
_atom_site_fract_x
_atom_site_fract_y
_atom_site_fract_z
Li1 Li 0.333 0.667 0.294
Li2 Li 0.667 0.333 0.706
B1 B 0.333 0.667 0.809
B2 B 0.667 0.333 0.191
Rh1 Rh 0.000 0.000 0.000
O1 O 0.060 0.691 0.801
O2 O 0.309 0.369 0.801
O3 O 0.369 0.060 0.199
O4 O 0.631 0.940 0.801
O5 O 0.691 0.631 0.199
O6 O 0.940 0.309 0.199
```

Principal peaks in the range 2θ = 15–90°, by angle:
2θ 15.12, intensity 100, hkl 0 0 1; 2θ 21.20, intensity 48, hkl 1 0 0; 2θ 26.14, intensity 86, hkl 1 0 1; 2θ 37.46, intensity 43, hkl 1 0 2; 2θ 40.33, intensity 33, hkl 2 -1 1; 2θ 46.00, intensity 19, hkl 2 0 1; 2θ 48.82, intensity 21, hkl 2 -1 2; 2θ 60.55, intensity 17, hkl 2 1 1


Diffraction record for LiSmW2O8. The powder XRD pattern is computed, not measured: it uses DFT lattice parameters and positions (GGA+U) and Cu Kα (weighted mean of Kα1 and Kα2).

Crystal structure
Cell: 7.186 7.419 7.479 Å, 113.82 115.55 91.66°
Space group P-1 (No. 2)
One atom of each set of equivalent atoms:
1 Li 0.247 0.324 0.490 x2
2 Sm 0.316 0.712 0.038 x2
3 W 0.149 0.106 0.789 x2
4 W 0.239 0.707 0.469 x2
5 O 0.019 0.172 0.492 x2
6 O 0.051 0.460 0.247 x2
7 O 0.115 0.827 0.237 x2
8 O 0.209 0.007 0.986 x2
9 O 0.316 0.636 0.695 x2
10 O 0.323 0.365 0.942 x2
11 O 0.366 0.012 0.702 x2
12 O 0.458 0.694 0.404 x2

Principal peaks in the range 10° ≤ 2θ ≤ 90°, low angle first:
hkl, d/Å, 2θ/deg, I (rel.)
0 1 -1, 6.027, 14.70, 66
1 1 -1, 5.060, 17.53, 58
1 1 0, 4.070, 21.84, 77
1 -2 0, 3.263, 27.34, 55
2 0 0, 3.142, 28.40, 61
0 2 -2, 3.014, 29.64, 100


Entry 1:
For CaAl2Cl8, DFT lattice parameters and positions (PBE) gives the calculated powder diffractogram in this record (Cu Kα, 1.54184 Å).
Kinematic intensities with the Lorentz-polarization factor, no thermal factor.

Structure:
Cell: 17.9530 9.1345 12.0107 Å, 90.00 128.10 90.00°
Space group C2/c (No. 15)

O3 O 0.369 0.060 0.199
O4 O 0.631 0.940 0.801
O5 O 0.691 0.631 0.199
O6 O 0.940 0.309 0.199
```

Principal peaks in the range 2θ = 15–90°, by angle:
2θ 15.12, intensity 100, hkl 0 0 1; 2θ 21.20, intensity 48, hkl 1 0 0; 2θ 26.14, intensity 86, hkl 1 0 1; 2θ 37.46, intensity 43, hkl 1 0 2; 2θ 40.33, intensity 33, hkl 2 -1 1; 2θ 46.00, intensity 19, hkl 2 0 1; 2θ 48.82, intensity 21, hkl 2 -1 2; 2θ 60.55, intensity 17, hkl 2 1 1


Diffraction record for LiSmW2O8. The powder XRD pattern is computed, not measured: it uses DFT lattice parameters and positions (GGA+U) and Cu Kα (weighted mean of Kα1 and Kα2).

Crystal structure
Cell: 7.186 7.419 7.479 Å, 113.82 115.55 91.66°
Space group P-1 (No. 2)
One atom of each set of equivalent atoms:
1 Li 0.247 0.324 0.490 x2
2 Sm 0.316 0.712 0.038 x2
3 W 0.149 0.106 0.789 x2
4 W 0.239 0.707 0.469 x2
5 O 0.019 0.172 0.492 x2
6 O 0.051 0.460 0.247 x2
7 O 0.115 0.827 0.237 x2
8 O 0.209 0.007 0.986 x2
9 O 0.316 0.636 0.695 x2
10 O 0.323 0.365 0.942 x2
11 O 0.366 0.012 0.702 x2
12 O 0.458 0.694 0.404 x2

Principal peaks in the range 10° ≤ 2θ ≤ 90°, low angle first:
hkl, d/Å, 2θ/deg, I (rel.)
0 1 -1, 6.027, 14.70, 66
1 1 -1, 5.060, 17.53, 58
1 1 0, 4.070, 21.84, 77
1 -2 0, 3.263, 27.34, 55
2 0 0, 3.142, 28.40, 61
0 2 -2, 3.014, 29.64, 100


Entry 1:
For CaAl2Cl8, DFT lattice parameters and positions (PBE) gives the calculated powder diffractogram in this record (Cu Kα, 1.54184 Å).
Kinematic intensities with the Lorentz-polarization factor, no thermal factor.

Structure:
Cell: 17.9530 9.1345 12.0107 Å, 90.00 128.10 90.00°
Space group C2/c (No. 15)